The reader should type out everything below character by character.

........
This record from Materials Project describes crystalline Sr2CeBiO6 at its relaxed geometry. The functional is PBE.

E (MP2020), eV per atom: -7.057
Volume, Å³/atom: 17.1
DFT total energy, eV per atom: -6.645

Lattice parameters (Å, degrees): 6.2283 6.2283 6.2283 60.00 60.00 60.00
Atoms (fractional coordinates):
Sr (0.2500, 0.2500, 0.2500)
Sr (0.7500, 0.7500, 0.7500)
Ce (0.0000, 0.0000, 0.0000)
Bi (0.5000, 0.5000, 0.5000)
O (0.2497, 0.2497, 0.7503)
O (0.2497, 0.7503, 0.2497)
O (0.2497, 0.7503, 0.7503)
O (0.7503, 0.2497, 0.2497)
O (0.7503, 0.2497, 0.7503)
O (0.7503, 0.7503, 0.2497)

---

This record from Materials Project describes crystalline Ho2MgSe4 at its relaxed geometry. The functional is PBE.

E (MP2020), eV per atom: -5.497
Energy above the lowest structure with this stoichiometry, meV per atom: 0
Volume, Å³/atom: 28.4
DFT total energy, eV per atom: -5.227

Lattice parameters (Å, degrees): 8.2517 8.2517 8.2517 60.00 60.00 60.00
Atoms (fractional coordinates):
Ho (0.0000, 0.0000, 0.0000)
Ho (0.0000, 0.0000, 0.5000)
Ho (0.0000, 0.5000, 0.0000)
Ho (0.5000, 0.0000, 0.0000)
Mg (0.3750, 0.3750, 0.3750)
Mg (0.6250, 0.6250, 0.6250)
Se (0.2352, 0.7549, 0.7549)
Se (0.2451, 0.2451, 0.2451)
Se (0.2451, 0.2451, 0.7648)
Se (0.2451, 0.7648, 0.2451)
Se (0.7549, 0.2352, 0.7549)
Se (0.7549, 0.7549, 0.2352)
Se (0.7549, 0.7549, 0.7549)
Se (0.7648, 0.2451, 0.2451)

---

This record from Materials Project describes crystalline MgZn at its relaxed geometry. The functional is PBE.

Volume, Å³/atom: 18.5
DFT total energy, eV per atom: -1.450

Lattice parameters (Å, degrees): 4.8003 7.7396 7.7396 22.73 90.00 90.00
Atoms (fractional coordinates):
Mg (0.0000, 0.0000, 0.0000)
Mg (0.0000, 0.3252, 0.3252)
Mg (0.5000, 0.5590, 0.5590)
Zn (0.0000, 0.6650, 0.6650)
Zn (0.5000, 0.2219, 0.2219)
Zn (0.5000, 0.8852, 0.8852)

---

This record from Materials Project describes crystalline LiH at its relaxed geometry. The functional is PBE.

E (MP2020), eV per atom: -3.146
Volume, Å³/atom: 8.0
DFT total energy, eV per atom: -3.057

Lattice parameters (Å, degrees): 2.8286 2.8286 2.8286 60.00 60.00 60.00
Atoms (fractional coordinates):
Li (0.0000, 0.0000, 0.0000)
H (0.5000, 0.5000, 0.5000)

~~~~~

Entry 1:
VASP calculation (r²SCAN) on a relaxed Ce2B6Rh9 crystal.

Unit cell a=5.6253 b=5.6253 c=8.5243 alpha=90.00 beta=90.00 gamma=60.00
Sites, in units of the cell vectors:
1 Ce 0.9999 0.0000 0.2922
2 Ce 0.0001 0.0000 0.7074
3 B 0.6667 0.6667 0.0000
4 B 0.3333 0.3333 0.0000
5 B 0.6667 0.6667 0.3334
6 B 0.3333 0.3333 0.3334
7 B 0.3334 0.3333 0.6667
8 B 0.6667 0.6667 0.6667
9 Rh 0.4998 0.0000 0.1634
10 Rh 0.9999 0.5000 0.1634
11 Rh 0.5000 0.5000 0.1634
12 Rh 0.5000 0.0000 0.8367
13 Rh 0.0000 0.5001 0.8367
14 Rh 0.5001 0.4999 0.8367
15 Rh 0.5004 0.0000 0.5000
16 Rh 0.0000 0.4996 0.5000
17 Rh 0.4996 0.5004 0.5000

Entry 2:
VASP calculation (r²SCAN) on a relaxed CeBRh3 crystal.

Unit cell a=4.2115 b=4.2115 c=4.2115 alpha=90.00 beta=90.00 gamma=90.00
Sites, in units of the cell vectors:
1 Ce 0.0000 0.0000 0.0000
2 B 0.5000 0.5000 0.5000
3 Rh 0.0000 0.5000 0.5000
4 Rh 0.5000 0.5000 0.0000
5 Rh 0.5000 0.0000 0.5000

Entry 3:
VASP calculation (r²SCAN) on a relaxed CeB2Ru3 crystal.

Unit cell a=5.5188 b=5.5188 c=2.9951 alpha=90.00 beta=90.00 gamma=120.00
Sites, in units of the cell vectors:
1 Ce 0.0000 0.0000 0.0000
2 B 0.3333 0.6667 0.0000
3 B 0.6667 0.3333 0.0000
4 Ru 0.5000 0.0000 0.5000
5 Ru 0.5000 0.5000 0.5000
6 Ru 0.0000 0.5000 0.5000

Number 1: total magnetization 1.8 Bohr magnetons per cell, ρ 9.0 g/cm³, energy of formation from the pure elements -0.70 eV/atom. Number 2: total magnetization 0.2 Bohr magnetons per cell, ρ 10.2 g/cm³, energy of formation from the pure elements -0.80 eV/atom. Number 3: total magnetization 0.0 Bohr magnetons per cell, ρ 9.8 g/cm³, energy of formation from the pure elements -0.54 eV/atom.

~~~~~

Record 1
........

This record from Materials Project describes crystalline Sr2CeBiO6 at its relaxed geometry. The functional is PBE.

E (MP2020), eV per atom: -7.057
Volume, Å³/atom: 17.1
DFT total energy, eV per atom: -6.645

Lattice parameters (Å, degrees): 6.2283 6.2283 6.2283 60.00 60.00 60.00
Atoms (fractional coordinates):
Sr (0.2500, 0.2500, 0.2500)
Sr (0.7500, 0.7500, 0.7500)
Ce (0.0000, 0.0000, 0.0000)
Bi (0.5000, 0.5000, 0.5000)
O (0.2497, 0.2497, 0.7503)
O (0.2497, 0.7503, 0.2497)
O (0.2497, 0.7503, 0.7503)
O (0.7503, 0.2497, 0.2497)
O (0.7503, 0.2497, 0.7503)
O (0.7503, 0.7503, 0.2497)

---

This record from Materials Project describes crystalline Ho2MgSe4 at its relaxed geometry. The functional is PBE.

E (MP2020), eV per atom: -5.497
Energy above the lowest structure with this stoichiometry, meV per atom: 0
Volume, Å³/atom: 28.4
DFT total energy, eV per atom: -5.227

Lattice parameters (Å, degrees): 8.2517 8.2517 8.2517 60.00 60.00 60.00
Atoms (fractional coordinates):
Ho (0.0000, 0.0000, 0.0000)
Ho (0.0000, 0.0000, 0.5000)
Ho (0.0000, 0.5000, 0.0000)
Ho (0.5000, 0.0000, 0.0000)
Mg (0.3750, 0.3750, 0.3750)
Mg (0.6250, 0.6250, 0.6250)
Se (0.2352, 0.7549, 0.7549)
Se (0.2451, 0.2451, 0.2451)
Se (0.2451, 0.2451, 0.7648)
Se (0.2451, 0.7648, 0.2451)
Se (0.7549, 0.2352, 0.7549)
Se (0.7549, 0.7549, 0.2352)
Se (0.7549, 0.7549, 0.7549)
Se (0.7648, 0.2451, 0.2451)

---

This record from Materials Project describes crystalline MgZn at its relaxed geometry. The functional is PBE.

Volume, Å³/atom: 18.5
DFT total energy, eV per atom: -1.450

Lattice parameters (Å, degrees): 4.8003 7.7396 7.7396 22.73 90.00 90.00
Atoms (fractional coordinates):
Mg (0.0000, 0.0000, 0.0000)
Mg (0.0000, 0.3252, 0.3252)
Mg (0.5000, 0.5590, 0.5590)
Zn (0.0000, 0.6650, 0.6650)
Zn (0.5000, 0.2219, 0.2219)
Zn (0.5000, 0.8852, 0.8852)

---

This record from Materials Project describes crystalline LiH at its relaxed geometry. The functional is PBE.

E (MP2020), eV per atom: -3.146
Volume, Å³/atom: 8.0
DFT total energy, eV per atom: -3.057

Lattice parameters (Å, degrees): 2.8286 2.8286 2.8286 60.00 60.00 60.00
Atoms (fractional coordinates):
Li (0.0000, 0.0000, 0.0000)
H (0.5000, 0.5000, 0.5000)

~~~~~

Entry 1:
VASP calculation (r²SCAN) on a relaxed Ce2B6Rh9 crystal.

Unit cell a=5.6253 b=5.6253 c=8.5243 alpha=90.00 beta=90.00 gamma=60.00
Sites, in units of the cell vectors:
1 Ce 0.9999 0.0000 0.2922
2 Ce 0.0001 0.0000 0.7074
3 B 0.6667 0.6667 0.0000
4 B 0.3333 0.3333 0.0000
5 B 0.6667 0.6667 0.3334
6 B 0.3333 0.3333 0.3334
7 B 0.3334 0.3333 0.6667
8 B 0.6667 0.6667 0.6667
9 Rh 0.4998 0.0000 0.1634
10 Rh 0.9999 0.5000 0.1634
11 Rh 0.5000 0.5000 0.1634
12 Rh 0.5000 0.0000 0.8367
13 Rh 0.0000 0.5001 0.8367
14 Rh 0.5001 0.4999 0.8367
15 Rh 0.5004 0.0000 0.5000
16 Rh 0.0000 0.4996 0.5000
17 Rh 0.4996 0.5004 0.5000

Entry 2:
VASP calculation (r²SCAN) on a relaxed CeBRh3 crystal.

Unit cell a=4.2115 b=4.2115 c=4.2115 alpha=90.00 beta=90.00 gamma=90.00
Sites, in units of the cell vectors:
1 Ce 0.0000 0.0000 0.0000
2 B 0.5000 0.5000 0.5000
3 Rh 0.0000 0.5000 0.5000
4 Rh 0.5000 0.5000 0.0000
5 Rh 0.5000 0.0000 0.5000

Entry 3:
VASP calculation (r²SCAN) on a relaxed CeB2Ru3 crystal.

Unit cell a=5.5188 b=5.5188 c=2.9951 alpha=90.00 beta=90.00 gamma=120.00
Sites, in units of the cell vectors:
1 Ce 0.0000 0.0000 0.0000
2 B 0.3333 0.6667 0.0000
3 B 0.6667 0.3333 0.0000
4 Ru 0.5000 0.0000 0.5000
5 Ru 0.5000 0.5000 0.5000
6 Ru 0.0000 0.5000 0.5000

Number 1: total magnetization 1.8 Bohr magnetons per cell, ρ 9.0 g/cm³, energy of formation from the pure elements -0.70 eV/atom. Number 2: total magnetization 0.2 Bohr magnetons per cell, ρ 10.2 g/cm³, energy of formation from the pure elements -0.80 eV/atom. Number 3: total magnetization 0.0 Bohr magnetons per cell, ρ 9.8 g/cm³, energy of formation from the pure elements -0.54 eV/atom.

~~~~~

Record 1